Hillside PTA Meeting Minutes
March 11, 2021
(via Zoom)
- Brian welcomed everyone
- Approved Hillside PTA February 2021 meeting minutes
Principal’s report:
- We are working hard to be transparent and it has been hard to turn information over quickly. There was a court ruling March 10th, but we are waiting for official word to principals and families.We believe we are swinging doors open on 4/12 and we are just waiting for official communication.
- We were ready in November and we will be ready when we open. We worked really hard to create a plan, have updated it again, and thought through the schedule. We’re unique because of our aesthetics. We will have the opportunity to talk, discuss, and maybe have another video to minimize anxiety beforehand.
- Deadline for switching was Feb. 25/26. Parents have new information and as long as we keep the 2 cohorts, we will consider switches. We’ll figure out guidance for our Friday e-blast for parents around switching to in person. Dr. Anglin is sending notes to all parents who requested a switch; families need answers.
- Question: how should teachers talk to kids about returning to school when they’ve been disappointed time and time again? Once we get Superintendent input, we will ask how to deliver information to kids.
- Question: For parents remaining remote, will we get a refresher on schedule? Yes
- We are forming a committee for the Fall (parents, admin, teachers, etc.) to think about the plan. We can’t just drown in the immediate. We were recently asked how many desk shields we would need which led me to believe we are trying to maximize days/attendance in September.
Nominating Committee:
- Motion was called, seconded, unanimously approved to elect Nominating Committee of Dee Thompson, Sheila Boyd, Shaviece Osborne, Christina Robinson, Justin Taylor, Brian Fleischer is an alternate
- Considering Bingo Night and Book Fair for April/May
- 5th Grade Yearbook is under calendar reviews
- Peer Socialization Committee: we have formed several clubs about which we are excited. We still need more volunteers for the approximately 20 clubs. After we have enough volunteers, we will get a Signup genius going. Clubs will be virtually and/or in person. Getting help from high school and middle school volunteers.
- Graduation: we are paying close attention to guidelines of capacity limits from the Governor. As a district, we want to do something consistent across elementary school. We are going to have to work across district and governor rules. We have the 4th largest stepping up (150 kids w/o teachers, spectators).
- Explorers is going well right now and we will host outdoor Explorers classes outside as the weather gets nicer.. We should do another survey about a spring session. We will possibly look to the Social Justice team for book clubs.
- The yearbook is still running. Need to decide if we want to include 3rd/4th graders and make available for purchase (will be free to 5th graders). Need to determine how to get pictures for the kids who can’t come in.
Treasurer’s Report:
- We’re in the black, but low on both the income and expenditure side against the budget. Anticipate more income this spring from Spirit Wear, Book Sale, plus potentially yearbook sales and an appeal, as needed, particularly to support 5th grade stepping up.
SATp (Erika):
- Hillside Social Justice afterschool book club initiative to launch. Virtual Science Day planned for 4/23/2021, including a career panel. 2021-2022 volunteers needed for Hillside CARES, Health & Wellness, and curriculum-related SATp initiatives.
BOE/PTAC Report (Brian):
- Brian provided an update on the litigation/settlement status between the district and the MEA, an update on the district’s paused launch of GoGuardian, and an update on the SY 2021-2022 MPS budget. He also highlighted the district’s free and reduced price meals application drive, noting that families can apply if their income status has changed during the course of the year, and noted PTAC’s MPS 101 document and the PTAC Community Conversations on the MPS Budget Process.
Brian Fleischer
Jennifer Hand
Samanthaa Anglin
Betty Shvetz
Christina Robinson
Dana Rizzo
Dee Thompson
Erica Clark-Mitchell
Attached: records of crystals.
<<<
An optimized crystal structure of Ba2ZnRhO4, computed with PBE.

VASP energy: -351.2 eV per cell
volume: 18.50 Å³/atom
formation energy from raw total energies: -1449 meV/atom
D(E_F): 22.7 states/eV per cell

Lattice parameters (Å, degrees): 5.085 12.423 18.746 90.00 90.00 90.00
Space group Fddd (No. 70, origin choice 2)
Symmetry-distinct sites (fractional):
Ba  0.125  0.125  0.301 (multiplicity 16)
Zn  0.125  0.125  0.625 (multiplicity 8)
Rh  0.125  0.125  0.125 (multiplicity 8)
O  0.122  0.255  0.410 (multiplicity 32)

=====

## KMnNi (PBE-GGA)

Data for a relaxed structure of KMnNi.

Values from the calculation:
Energy of formation from the pure elements (kJ/mol of formula units): 377
Calculated volume (Å³ per cell): 265.3
Total DFT energy (no corrections) (eV per atom): -4.046
N(E_F) (states/eV per atom): 1.008
Excess energy over the best structure of this formula in the dataset (eV per atom): 0.9416
Space group: P6_3/mmc (194)

abc: 5.812 5.812 9.068
angles: 90.00 90.00 120.00
Fractional positions:
K (0.333, 0.667, 0.250)
K (0.667, 0.333, 0.750)
Mn (0.000, 0.000, 0.250)
Mn (0.000, 0.000, 0.750)
Ni (0.000, 0.000, 0.000)
Ni (0.000, 0.000, 0.500)

## Tb7Sb2C2 (PBE-GGA)

Data for a relaxed structure of Tb7Sb2C2.

Values from the calculation:
Calculated volume (Å³ per cell): 272.2
Total DFT energy (no corrections) (eV per atom): -5.732
N(E_F) (states/eV per atom): 0.762
Space group: Imm2 (44)

abc: 9.484 9.484 9.484
angles: 158.67 66.36 118.00
Fractional positions:
Tb (0.000, 0.000, 0.000)
Tb (0.046, 0.706, 0.340)
Tb (0.071, 0.379, 0.692)
Tb (0.366, 0.706, 0.660)
Tb (0.438, 0.575, 0.863)
Tb (0.688, 0.379, 0.308)
Tb (0.712, 0.575, 0.137)
Sb (0.326, 0.326, 0.000)
Sb (0.737, 0.237, 0.500)
C (0.393, 0.132, 0.261)
C (0.871, 0.132, 0.739)

## ScHg2Mo (PBE-GGA)

Data for a relaxed structure of ScHg2Mo.

Values from the calculation:
Energy of formation from the pure elements (kJ/mol of formula units): 95
Calculated volume (Å³ per cell): 79.2
Total DFT energy (no corrections) (eV per atom): -4.196
N(E_F) (states/eV per atom): 0.717
Excess energy over the best structure of this formula in the dataset (eV per atom): 0.1239
Space group: Fm-3m (225)

abc: 4.821 4.821 4.821
angles: 60.00 60.00 60.00
Fractional positions:
Sc (0.000, 0.000, 0.000)
Hg (0.250, 0.250, 0.250)
Hg (0.750, 0.750, 0.750)
Mo (0.500, 0.500, 0.500)

What did the first record say?
## KMnNi (PBE-GGA)

Data for a relaxed structure of KMnNi.

Values from the calculation:
Energy of formation from the pure elements (kJ/mol of formula units): 377
Calculated volume (Å³ per cell): 265.3
Total DFT energy (no corrections) (eV per atom): -4.046
N(E_F) (states/eV per atom): 1.008
Excess energy over the best structure of this formula in the dataset (eV per atom): 0.9416
Space group: P6_3/mmc (194)

abc: 5.812 5.812 9.068
angles: 90.00 90.00 120.00
Fractional positions:
K (0.333, 0.667, 0.250)
K (0.667, 0.333, 0.750)
Mn (0.000, 0.000, 0.250)
Mn (0.000, 0.000, 0.750)
Ni (0.000, 0.000, 0.000)
>>>
Gina Chung Fortt
Justin Taylor
Linda Kow
Shaviece Osborne
Sheila Boyd
Thomas Adamo
Tinu Joseph
Yvette Frazier
Zoe La Salandra